## Listing
- - -
Diffraction record for Er3ScSi2. The X-ray powder pattern is theoretical, not measured: it uses a cell relaxed with PBE and Cu Kα.
Neutral-atom scattering factors, no anomalous dispersion.

Cell and atoms:
a = 4.207 Å, b = 4.290 Å, c = 15.472 Å
α = 90.00°, β = 90.00°, γ = 90.00°
Space group Immm (No. 71)
Asymmetric unit:
Er 0.000 0.000 0.000 x2
Er 0.000 0.500 0.321 x4
Sc 0.000 0.000 0.500 x2
Si 0.000 0.500 0.133 x4

Most intense lines, 2θ = 5–70°, sorted by position:
- d 4.134, I = 36
- d 3.260, I = 64
- d 2.800, I = 100
- d 2.579, I = 30
- d 2.510, I = 35
- d 2.372, I = 40
- d 2.145, I = 23
- d 2.104, I = 22
- d 1.792, I = 24
- d 1.649, I = 16
- d 1.626, I = 26
- d 1.612, I = 18

* * * * *

For RbNdGeS4, a structure optimized by DFT (GGA-PBE) gives the simulated X-ray diffraction stick pattern in this record (Cu Kα, 1.54184 Å).
Lines closer than 0.1° are merged.

Crystal structure
```
data_RbNdGeS4
_chemical_formula_sum 'Rb2 Nd2 Ge2 S8'
_cell_length_a 6.657
_cell_length_b 6.762
_cell_length_c 9.180
_cell_angle_alpha 90.00
_cell_angle_beta 107.41
_cell_angle_gamma 90.00
_space_group_name_H-M_alt 'P 1'
_space_group_IT_number 1
_space_group_name_Hall 'P 1'
loop_
_atom_site_label
_atom_site_type_symbol
_atom_site_fract_x
_atom_site_fract_y
_atom_site_fract_z
Rb1 Rb 0.231 0.250 0.436
Rb2 Rb 0.769 0.750 0.564
Nd1 Nd 0.272 0.250 0.949
Nd2 Nd 0.728 0.750 0.051
Ge1 Ge 0.278 0.750 0.172
Ge2 Ge 0.722 0.250 0.828
S1 S 0.080 0.750 0.326
S2 S 0.080 0.750 0.930
S3 S 0.498 0.505 0.792
S4 S 0.498 0.995 0.792
S5 S 0.502 0.005 0.208
S6 S 0.502 0.495 0.208
S7 S 0.920 0.250 0.070
S8 S 0.920 0.250 0.674
```

Top 10 peaks for 2θ = 10–80°, by angle:
2theta, I (rel.)
10.1, 100.0
16.6, 35.3
19.2, 42.3
24.2, 40.2
24.7, 36.8
26.4, 64.0
29.4, 31.2
31.0, 70.3
32.3, 56.6
38.9, 51.9



For NaLiTl2Ir, a structure optimized by DFT (GGA-PBE) gives the simulated X-ray diffraction stick pattern in this record (Cu Kα, 1.54184 Å).
Lines closer than 0.1° are merged.

Crystal structure
```
data_NaLiTl2Ir
_chemical_formula_sum 'Na1 Li1 Tl2 Ir1'
_cell_length_a 5.271
_cell_length_b 5.271
_cell_length_c 4.919
_cell_angle_alpha 90.00
_cell_angle_beta 90.00
_cell_angle_gamma 90.00
_space_group_name_H-M_alt 'P 1'
_space_group_IT_number 1
_space_group_name_Hall 'P 1'
loop_
_atom_site_label
_atom_site_type_symbol
_atom_site_fract_x
_atom_site_fract_y
_atom_site_fract_z
Na1 Na 0.000 0.000 0.000
Li1 Li 0.500 0.500 0.000
Tl1 Tl 0.000 0.500 0.500
Tl2 Tl 0.500 0.000 0.500
Ir1 Ir 0.500 0.500 0.500
```

Top 10 peaks for 2θ = 10–80°, by angle:
2theta, I (rel.)
16.8, 21.7
18.0, 100.0
24.8, 26.7
30.1, 21.7
34.0, 52.2
36.5, 21.6
38.8, 60.1
48.9, 19.1
50.8, 34.2
52.5, 25.5



For LiY3Te2, a structure optimized by DFT (GGA-PBE) gives the simulated X-ray diffraction stick pattern in this record (Cu Kα, 1.54184 Å).
Lines closer than 0.1° are merged.

Crystal structure
```
data_LiY3Te2
_chemical_formula_sum 'Li4 Y12 Te8'
_cell_length_a 12.231
_cell_length_b 4.224
_cell_length_c 11.779
_cell_angle_alpha 90.00
_cell_angle_beta 90.00
_cell_angle_gamma 90.00
_space_group_name_H-M_alt 'P 1'
_space_group_IT_number 1
_space_group_name_Hall 'P 1'
loop_
_atom_site_label
_atom_site_type_symbol
_atom_site_fract_x
_atom_site_fract_y
_atom_site_fract_z
Li1 Li 0.138 0.250 0.128
Li2 Li 0.362 0.750 0.628
Li3 Li 0.638 0.250 0.372
Li4 Li 0.862 0.750 0.872
Y1 Y 0.043 0.250 0.379
Y2 Y 0.123 0.750 0.929
Y3 Y 0.201 0.250 0.704
Y4 Y 0.299 0.750 0.204
Y5 Y 0.377 0.250 0.429
Y6 Y 0.457 0.750 0.879
Y7 Y 0.543 0.250 0.121
Y8 Y 0.623 0.750 0.571
Y9 Y 0.701 0.250 0.796
Y10 Y 0.799 0.750 0.296
Y11 Y 0.877 0.250 0.071
Y12 Y 0.957 0.750 0.621
Te1 Te 0.031 0.750 0.183
Te2 Te 0.194 0.750 0.493
Te3 Te 0.306 0.250 0.993
Te4 Te 0.469 0.250 0.683
Te5 Te 0.531 0.750 0.317
Te6 Te 0.694 0.750 0.007
Te7 Te 0.806 0.250 0.507
Te8 Te 0.969 0.250 0.817
```

Top 10 peaks for 2θ = 10–80°, by angle:
2theta, I (rel.)
29.9, 54.2
30.2, 52.9
31.1, 65.2
31.4, 69.1
32.0, 84.2
33.8, 41.0
34.1, 100.0
39.5, 74.7
42.8, 62.9
44.4, 55.3
- - -

## To do
Type out all of the material further above without altering anything, please.

## Response
Diffraction record for Er3ScSi2. The X-ray powder pattern is theoretical, not measured: it uses a cell relaxed with PBE and Cu Kα.
Neutral-atom scattering factors, no anomalous dispersion.

Cell and atoms:
a = 4.207 Å, b = 4.290 Å, c = 15.472 Å
α = 90.00°, β = 90.00°, γ = 90.00°
Space group Immm (No. 71)
Asymmetric unit:
Er 0.000 0.000 0.000 x2
Er 0.000 0.500 0.321 x4
Sc 0.000 0.000 0.500 x2
Si 0.000 0.500 0.133 x4

Most intense lines, 2θ = 5–70°, sorted by position:
- d 4.134, I = 36
- d 3.260, I = 64
- d 2.800, I = 100
- d 2.579, I = 30
- d 2.510, I = 35
- d 2.372, I = 40
- d 2.145, I = 23
- d 2.104, I = 22
- d 1.792, I = 24
- d 1.649, I = 16
- d 1.626, I = 26
- d 1.612, I = 18

* * * * *

For RbNdGeS4, a structure optimized by DFT (GGA-PBE) gives the simulated X-ray diffraction stick pattern in this record (Cu Kα, 1.54184 Å).
Lines closer than 0.1° are merged.

Crystal structure
```
data_RbNdGeS4
_chemical_formula_sum 'Rb2 Nd2 Ge2 S8'
_cell_length_a 6.657
_cell_length_b 6.762
_cell_length_c 9.180
_cell_angle_alpha 90.00
_cell_angle_beta 107.41
_cell_angle_gamma 90.00
_space_group_name_H-M_alt 'P 1'
_space_group_IT_number 1
_space_group_name_Hall 'P 1'
loop_
_atom_site_label
_atom_site_type_symbol
_atom_site_fract_x
_atom_site_fract_y
_atom_site_fract_z
Rb1 Rb 0.231 0.250 0.436
Rb2 Rb 0.769 0.750 0.564
Nd1 Nd 0.272 0.250 0.949
Nd2 Nd 0.728 0.750 0.051
Ge1 Ge 0.278 0.750 0.172
Ge2 Ge 0.722 0.250 0.828
S1 S 0.080 0.750 0.326
S2 S 0.080 0.750 0.930
S3 S 0.498 0.505 0.792
S4 S 0.498 0.995 0.792
S5 S 0.502 0.005 0.208
S6 S 0.502 0.495 0.208
S7 S 0.920 0.250 0.070
S8 S 0.920 0.250 0.674
```

Top 10 peaks for 2θ = 10–80°, by angle:
2theta, I (rel.)
10.1, 100.0
16.6, 35.3
19.2, 42.3
24.2, 40.2
24.7, 36.8
26.4, 64.0
29.4, 31.2
31.0, 70.3
32.3, 56.6
38.9, 51.9



For NaLiTl2Ir, a structure optimized by DFT (GGA-PBE) gives the simulated X-ray diffraction stick pattern in this record (Cu Kα, 1.54184 Å).
Lines closer than 0.1° are merged.

Crystal structure
```
data_NaLiTl2Ir
_chemical_formula_sum 'Na1 Li1 Tl2 Ir1'
_cell_length_a 5.271
_cell_length_b 5.271
_cell_length_c 4.919
_cell_angle_alpha 90.00
_cell_angle_beta 90.00
_cell_angle_gamma 90.00
_space_group_name_H-M_alt 'P 1'
_space_group_IT_number 1
_space_group_name_Hall 'P 1'
loop_
_atom_site_label
_atom_site_type_symbol
_atom_site_fract_x
_atom_site_fract_y
_atom_site_fract_z
Na1 Na 0.000 0.000 0.000
Li1 Li 0.500 0.500 0.000
Tl1 Tl 0.000 0.500 0.500
Tl2 Tl 0.500 0.000 0.500
Ir1 Ir 0.500 0.500 0.500
```

Top 10 peaks for 2θ = 10–80°, by angle:
2theta, I (rel.)
16.8, 21.7
18.0, 100.0
24.8, 26.7
30.1, 21.7
34.0, 52.2
36.5, 21.6
38.8, 60.1
48.9, 19.1
50.8, 34.2
52.5, 25.5



For LiY3Te2, a structure optimized by DFT (GGA-PBE) gives the simulated X-ray diffraction stick pattern in this record (Cu Kα, 1.54184 Å).
Lines closer than 0.1° are merged.

Crystal structure
```
data_LiY3Te2
_chemical_formula_sum 'Li4 Y12 Te8'
_cell_length_a 12.231
_cell_length_b 4.224
_cell_length_c 11.779
_cell_angle_alpha 90.00
_cell_angle_beta 90.00
_cell_angle_gamma 90.00
_space_group_name_H-M_alt 'P 1'
_space_group_IT_number 1
_space_group_name_Hall 'P 1'
loop_
_atom_site_label
_atom_site_type_symbol
_atom_site_fract_x
_atom_site_fract_y
_atom_site_fract_z
Li1 Li 0.138 0.250 0.128
Li2 Li 0.362 0.750 0.628
Li3 Li 0.638 0.250 0.372
Li4 Li 0.862 0.750 0.872
Y1 Y 0.043 0.250 0.379
Y2 Y 0.123 0.750 0.929
Y3 Y 0.201 0.250 0.704
Y4 Y 0.299 0.750 0.204
Y5 Y 0.377 0.250 0.429
Y6 Y 0.457 0.750 0.879
Y7 Y 0.543 0.250 0.121
Y8 Y 0.623 0.750 0.571
Y9 Y 0.701 0.250 0.796
Y10 Y 0.799 0.750 0.296
Y11 Y 0.877 0.250 0.071
Y12 Y 0.957 0.750 0.621
Te1 Te 0.031 0.750 0.183
Te2 Te 0.194 0.750 0.493
Te3 Te 0.306 0.250 0.993
Te4 Te 0.469 0.250 0.683
Te5 Te 0.531 0.750 0.317
Te6 Te 0.694 0.750 0.007
Te7 Te 0.806 0.250 0.507
Te8 Te 0.969 0.250 0.817
```

Top 10 peaks for 2θ = 10–80°, by angle:
2theta, I (rel.)
29.9, 54.2
30.2, 52.9
31.1, 65.2
31.4, 69.1
32.0, 84.2
33.8, 41.0
34.1, 100.0
39.5, 74.7
42.8, 62.9
44.4, 55.3